== Source ==
1.
Below is UGa4Pd15 after structural relaxation, with properties calculated at the PBE-GGA level.

Results
For the energy of formation, the calculation gives -11.142 kcal/mol of atoms. As for the space group: P4/mmm (123). The total energy comes out at -5.55 eV per atom. The calculation puts the magnetization at 0.79 μB per cell. The crystal system is tetragonal.

Cell: 3.9917 3.9917 19.6070 Å, 90.00 90.00 90.00°
Closest atoms and distances in Å follow each position.
Sites, in units of the cell vectors:
U: 0.0000 0.0000 0.0000  12 Pd 2.82-2.85
Ga: 0.0000 0.0000 0.2133  12 Pd 2.68-2.93
Ga: 0.0000 0.0000 0.4039  12 Pd 2.74-2.82
Ga: 0.0000 0.0000 0.5961  12 Pd 2.74-2.82
Ga: 0.0000 0.0000 0.7867  12 Pd 2.68-2.93
Pd: 0.0000 0.5000 0.1038  8 Pd 2.81-2.85, 2 U 2.85, 2 Ga 2.93
Pd: 0.0000 0.5000 0.3048  4 Ga 2.68-2.79, 8 Pd 2.77-2.82
Pd: 0.0000 0.5000 0.5000  4 Ga 2.74, 8 Pd 2.76-2.82
Pd: 0.0000 0.5000 0.6952  4 Ga 2.68-2.79, 8 Pd 2.77-2.82
Pd: 0.0000 0.5000 0.8962  8 Pd 2.81-2.85, 2 U 2.85, 2 Ga 2.93
Pd: 0.5000 0.0000 0.1038  8 Pd 2.81-2.85, 2 U 2.85, 2 Ga 2.93
Pd: 0.5000 0.0000 0.3048  4 Ga 2.68-2.79, 8 Pd 2.77-2.82
Pd: 0.5000 0.0000 0.5000  4 Ga 2.74, 8 Pd 2.76-2.82
Pd: 0.5000 0.0000 0.6952  4 Ga 2.68-2.79, 8 Pd 2.77-2.82
Pd: 0.5000 0.0000 0.8962  8 Pd 2.81-2.85, 2 U 2.85, 2 Ga 2.93
Pd: 0.5000 0.5000 0.0000  4 U 2.82, 8 Pd 2.85
Pd: 0.5000 0.5000 0.2044  8 Pd 2.80-2.81, 4 Ga 2.83
Pd: 0.5000 0.5000 0.4025  8 Pd 2.76-2.77, 4 Ga 2.82
Pd: 0.5000 0.5000 0.5975  8 Pd 2.76-2.77, 4 Ga 2.82
Pd: 0.5000 0.5000 0.7956  8 Pd 2.80-2.81, 4 Ga 2.83

***

2.
Below is Y2Co2Sb after structural relaxation, with properties calculated at the PBE-GGA level.

Results
As for the space group: P4/mbm (127). The total energy comes out at -6.67 eV per atom. For the energy relative to the elements, uncorrected, the calculation gives -0.4219 eV per atom. The calculation puts the magnetization at 3.11 μB per cell. The crystal system is tetragonal.

Cell: 7.0302 7.0302 4.0689 Å, 90.00 90.00 90.00°
Closest atoms and distances in Å follow each position.
Sites, in units of the cell vectors:
Y: 0.1793 0.3207 0.0000  6 Co 2.90-2.93
Y: 0.3207 0.8207 0.0000  6 Co 2.90-2.93
Y: 0.6793 0.1793 0.0000  6 Co 2.90-2.93
Y: 0.8207 0.6793 0.0000  6 Co 2.90-2.93
Co: 0.1131 0.6131 0.5000  1 Co 2.25
Co: 0.3869 0.1131 0.5000  1 Co 2.25
Co: 0.6131 0.8869 0.5000  1 Co 2.25
Co: 0.8869 0.3869 0.5000  1 Co 2.25
Sb: 0.0000 0.0000 0.5000  4 Co 2.83
Sb: 0.5000 0.5000 0.5000  4 Co 2.83


1.
DFT (meta-GGA SCAN) results for a PBEsol-optimized structure of ZrCoRu2.

Output
As for the distance to the lowest polymorph of the same formula: 47 meV per atom. Its space group is I4/mmm (139).

POSCAR file:
```
ZrCoRu2
1.0
3.8482 0.0000 0.0000
0.0000 3.8482 0.0000
-1.9241 -1.9241 3.8298
Co Ru Zr
1 2 1
Cartesian
0.0000 0.0000 0.0000 Co
0.0000 1.9241 1.9149 Ru
1.9241 0.0000 1.9149 Ru
1.9241 1.9241 0.0000 Zr
```

***

2.
DFT (meta-GGA SCAN) results for a PBEsol-optimized structure of Ca4TlRe.

Output
Its space group is F-43m (216).

POSCAR file:
```
Ca4TlRe
1.0
-2.9832 4.1708 -3.1208
-0.9771 -0.7728 -5.8722
-5.5456 -1.1397 -1.9954
Ca Tl Re
4 1 1
Cartesian
-6.3217 0.2855 -5.1221 Ca
-5.0533 2.9143 -5.6792 Ca
-4.0602 0.4671 -7.0412 Ca
-3.5765 0.8497 -4.1343 Ca
0.0000 0.0000 0.0000 Tl
-7.1294 1.6937 -8.2413 Re
```

***

3.
DFT (meta-GGA SCAN) results for a PBEsol-optimized structure of FeCo2Tc.

Output
Its space group is P4mm (99).

POSCAR file:
```
FeCo2Tc
1.0
-2.4857 0.0523 -0.5071
-0.2551 -2.3130 1.0118
-1.2180 2.8756 6.2666
Co Fe Tc
2 1 1
Cartesian
-1.6720 -0.4183 1.8039 Co
-0.0168 0.0396 0.0863 Co
-0.5903 1.3937 3.0373 Fe
-2.2887 1.0377 4.9770 Tc
```

***

4.
DFT (meta-GGA SCAN) results for a PBEsol-optimized structure of Tc2SnGe2.

Output
Its space group is I4/mmm (139).

POSCAR file:
```
Tc2SnGe2
1.0
3.5347 0.0000 0.0000
0.0000 3.5347 0.0000
-1.7674 -1.7674 6.4922
Ge Tc Sn
2 2 1
Cartesian
1.7674 0.0000 3.2461 Ge
0.0000 1.7674 3.2461 Ge
0.0000 0.0000 5.0651 Tc
1.7674 1.7674 1.4271 Tc

== Request ==
Find the line further up that holds "0.0000 0.5961", then retype that line and all lines after it there, please.

== Outcome ==
Ga: 0.0000 0.0000 0.5961  12 Pd 2.74-2.82
Ga: 0.0000 0.0000 0.7867  12 Pd 2.68-2.93
Pd: 0.0000 0.5000 0.1038  8 Pd 2.81-2.85, 2 U 2.85, 2 Ga 2.93
Pd: 0.0000 0.5000 0.3048  4 Ga 2.68-2.79, 8 Pd 2.77-2.82
Pd: 0.0000 0.5000 0.5000  4 Ga 2.74, 8 Pd 2.76-2.82
Pd: 0.0000 0.5000 0.6952  4 Ga 2.68-2.79, 8 Pd 2.77-2.82
Pd: 0.0000 0.5000 0.8962  8 Pd 2.81-2.85, 2 U 2.85, 2 Ga 2.93
Pd: 0.5000 0.0000 0.1038  8 Pd 2.81-2.85, 2 U 2.85, 2 Ga 2.93
Pd: 0.5000 0.0000 0.3048  4 Ga 2.68-2.79, 8 Pd 2.77-2.82
Pd: 0.5000 0.0000 0.5000  4 Ga 2.74, 8 Pd 2.76-2.82
Pd: 0.5000 0.0000 0.6952  4 Ga 2.68-2.79, 8 Pd 2.77-2.82
Pd: 0.5000 0.0000 0.8962  8 Pd 2.81-2.85, 2 U 2.85, 2 Ga 2.93
Pd: 0.5000 0.5000 0.0000  4 U 2.82, 8 Pd 2.85
Pd: 0.5000 0.5000 0.2044  8 Pd 2.80-2.81, 4 Ga 2.83
Pd: 0.5000 0.5000 0.4025  8 Pd 2.76-2.77, 4 Ga 2.82
Pd: 0.5000 0.5000 0.5975  8 Pd 2.76-2.77, 4 Ga 2.82
Pd: 0.5000 0.5000 0.7956  8 Pd 2.80-2.81, 4 Ga 2.83

***

2.
Below is Y2Co2Sb after structural relaxation, with properties calculated at the PBE-GGA level.

Results
As for the space group: P4/mbm (127). The total energy comes out at -6.67 eV per atom. For the energy relative to the elements, uncorrected, the calculation gives -0.4219 eV per atom. The calculation puts the magnetization at 3.11 μB per cell. The crystal system is tetragonal.

Cell: 7.0302 7.0302 4.0689 Å, 90.00 90.00 90.00°
Closest atoms and distances in Å follow each position.
Sites, in units of the cell vectors:
Y: 0.1793 0.3207 0.0000  6 Co 2.90-2.93
Y: 0.3207 0.8207 0.0000  6 Co 2.90-2.93
Y: 0.6793 0.1793 0.0000  6 Co 2.90-2.93
Y: 0.8207 0.6793 0.0000  6 Co 2.90-2.93
Co: 0.1131 0.6131 0.5000  1 Co 2.25
Co: 0.3869 0.1131 0.5000  1 Co 2.25
Co: 0.6131 0.8869 0.5000  1 Co 2.25
Co: 0.8869 0.3869 0.5000  1 Co 2.25
Sb: 0.0000 0.0000 0.5000  4 Co 2.83
Sb: 0.5000 0.5000 0.5000  4 Co 2.83


1.
DFT (meta-GGA SCAN) results for a PBEsol-optimized structure of ZrCoRu2.

Output
As for the distance to the lowest polymorph of the same formula: 47 meV per atom. Its space group is I4/mmm (139).

POSCAR file:
```
ZrCoRu2
1.0
3.8482 0.0000 0.0000
0.0000 3.8482 0.0000
-1.9241 -1.9241 3.8298
Co Ru Zr
1 2 1
Cartesian
0.0000 0.0000 0.0000 Co
0.0000 1.9241 1.9149 Ru
1.9241 0.0000 1.9149 Ru
1.9241 1.9241 0.0000 Zr
```

***

2.
DFT (meta-GGA SCAN) results for a PBEsol-optimized structure of Ca4TlRe.

Output
Its space group is F-43m (216).

POSCAR file:
```
Ca4TlRe
1.0
-2.9832 4.1708 -3.1208
-0.9771 -0.7728 -5.8722
-5.5456 -1.1397 -1.9954
Ca Tl Re
4 1 1
Cartesian
-6.3217 0.2855 -5.1221 Ca
-5.0533 2.9143 -5.6792 Ca
-4.0602 0.4671 -7.0412 Ca
-3.5765 0.8497 -4.1343 Ca
0.0000 0.0000 0.0000 Tl
-7.1294 1.6937 -8.2413 Re
```

***

3.
DFT (meta-GGA SCAN) results for a PBEsol-optimized structure of FeCo2Tc.

Output
Its space group is P4mm (99).

POSCAR file:
```
FeCo2Tc
1.0
-2.4857 0.0523 -0.5071
-0.2551 -2.3130 1.0118
-1.2180 2.8756 6.2666
Co Fe Tc
2 1 1
Cartesian
-1.6720 -0.4183 1.8039 Co
-0.0168 0.0396 0.0863 Co
-0.5903 1.3937 3.0373 Fe
-2.2887 1.0377 4.9770 Tc
```

***

4.
DFT (meta-GGA SCAN) results for a PBEsol-optimized structure of Tc2SnGe2.

Output
Its space group is I4/mmm (139).

POSCAR file:
```
Tc2SnGe2
1.0
3.5347 0.0000 0.0000
0.0000 3.5347 0.0000
-1.7674 -1.7674 6.4922
Ge Tc Sn
2 2 1
Cartesian
1.7674 0.0000 3.2461 Ge
0.0000 1.7674 3.2461 Ge
0.0000 0.0000 5.0651 Tc
1.7674 1.7674 1.4271 Tc